China's carefully controlled media may have remained largely silent on the unrest in Tibet, but a look at Chinese blogs reveals a vitriolic outpouring of anger and nationalism directed against Tibetans and the West. ( Reuters )
China - which routinely censors its news to avoid stoking popular sentiment - has less of a stranglehold over what is posted online, and over 200 million enthusiastic Internet users.
On Saturday, a rash of angry blog posts appeared after China confirmed deaths in Lhasa, the Tibetan capital, and U.S. actor Richard Gere called for a boycott of the Beijing Olympics should the authorities mishandle the protests.
"Westerners think they know all about China, telling us that this, that and the other is bad," wrote one blogger, who listed historical reasons justifying Tibet's inclusion as part of China.
"Most foreigners have been brainwashed as far as this issue is concerned," assented another user.
Other blogs were virulently nationalistic.
"If you behave well, we'll protect your culture and benefits," said one blogger, addressing Tibetans in China.
"If you behave badly, we'll still take care of your culture by putting it in a museum. I believe in the Han (Chinese) people!"
Many blamed the Dalai Lama, the exiled Tibetan spiritual leader and Nobel Peace Prize winner, for inciting the riots.
"Simple monks, simple Tibetans, do they even know what is the driving force behind the push for independence?" said one blog.
The view was echoed by some residents in Beijing, due to host the Olympics in less than six months' time.
"I think that the Chinese government has to cut this cancer out. We can start with the Dalai Lama, and even though we don't have relations with the Dalai Lama, we should arrest those who are behind the riots," said one man surnamed Song.
┌──
[1]
## LiCuS (PBE-GGA)

Data for an optimized crystal structure of LiCuS.

total magnetic moment: 0.00 μB per cell
calculated formation energy: -836 meV per atom

```
data_LiCuS
_space_group_name_H-M_alt 'P b c n'
_space_group_IT_number 60
_space_group_name_Hall '-P 2n 2ab'
_cell_length_a 12.766
_cell_length_b 4.910
_cell_length_c 21.818
_cell_angle_alpha 90.00
_cell_angle_beta 90.00
_cell_angle_gamma 90.00
loop_
_atom_site_label
_atom_site_type_symbol
_atom_site_fract_x
_atom_site_fract_y
_atom_site_fract_z
Li1 Li 0.076 0.031 0.198
Li2 Li 0.081 0.332 0.538
Li3 Li 0.089 0.384 0.864
Cu1 Cu 0.245 0.013 0.471
Cu2 Cu 0.247 0.307 0.146
Cu3 Cu 0.248 0.329 0.293
S1 S 0.110 0.432 0.646
S2 S 0.111 0.255 0.973
S3 S 0.113 0.072 0.306
```

=====

[2]
## K2BaGe8O18 (PBE-GGA)

Data for an optimized crystal structure of K2BaGe8O18.

total magnetic moment: 0.00 μB per cell
calculated formation energy: -2262 meV per atom

```
data_K2BaGe8O18
_space_group_name_H-M_alt 'P -3 c 1'
_space_group_IT_number 165
_space_group_name_Hall '-P 3 2"c'
_cell_length_a 11.9080
_cell_length_b 11.9080
_cell_length_c 19.5869
_cell_angle_alpha 90.00
_cell_angle_beta 90.00
_cell_angle_gamma 120.00
loop_
_atom_site_label
_atom_site_type_symbol
_atom_site_fract_x
_atom_site_fract_y
_atom_site_fract_z
K1 K 0.0017 0.3373 0.0393
Ba1 Ba 0.0000 0.3351 0.2500
Ge1 Ge 0.0000 0.0000 0.0000
Ge2 Ge 0.0000 0.0000 0.2500
Ge3 Ge 0.0036 0.1778 0.6273
Ge4 Ge 0.1448 0.4833 0.6492
Ge5 Ge 0.1548 0.4884 0.8913
Ge6 Ge 0.3333 0.6667 0.0222
Ge7 Ge 0.3333 0.6667 0.2721
O1 O 0.0088 0.4844 0.8641
O2 O 0.0632 0.1511 0.3081
O3 O 0.0676 0.1515 0.0586
O4 O 0.1072 0.3243 0.9155
O5 O 0.1207 0.3255 0.6725
O6 O 0.1812 0.5763 0.9673
O7 O 0.1830 0.5896 0.2174
O8 O 0.2408 0.5133 0.5764
O9 O 0.2430 0.5166 0.3291
```

=====

[3]
## AlCuCl4 (PBE-GGA)

Data for an optimized crystal structure of AlCuCl4.

calculated formation energy: -1575 meV per atom

```
data_AlCuCl4
_space_group_name_H-M_alt 'P n a 21'
_space_group_IT_number 33
_space_group_name_Hall 'P 2c -2n'
_cell_length_a 12.936
_cell_length_b 7.798
_cell_length_c 6.221
_cell_angle_alpha 90.00
_cell_angle_beta 90.00
_cell_angle_gamma 90.00
loop_
_atom_site_label
_atom_site_type_symbol
_atom_site_fract_x
_atom_site_fract_y
_atom_site_fract_z
Al1 Al 0.088 0.245 0.000
Cu1 Cu 0.162 0.994 0.497
Cl1 Cl 0.071 0.748 0.612
Cl2 Cl 0.093 0.245 0.650
Cl3 Cl 0.163 0.014 0.121
Cl4 Cl 0.166 0.474 0.118
```

=====

[4]
## NaTi3O9 (PBE-GGA)

Data for an optimized crystal structure of NaTi3O9.

total magnetic moment: 8.00 μB per cell
calculated formation energy: -2142 meV per atom

```
data_NaTi3O9
_space_group_name_H-M_alt 'C 1 2/m 1'
_space_group_IT_number 12
_space_group_name_Hall '-C 2y'
_cell_length_a 16.218
_cell_length_b 3.758
_cell_length_c 12.514
_cell_angle_alpha 90.00
_cell_angle_beta 122.23
_cell_angle_gamma 90.00
loop_
_atom_site_label
_atom_site_type_symbol
_atom_site_fract_x
_atom_site_fract_y
_atom_site_fract_z
Na1 Na 0.183 0.000 0.318
Ti1 Ti 0.060 0.500 0.815
└──
In striking contrast to the media blackout during the Tiananmen protests in 1989, China's flourishing online chatrooms, bulletin boards and Web logs means citizens have more opportunity to air their opinions publicly, even as censors rush to remove the offending comments mere hours later.
Some Web surfers expressed indignation at the muzzled mainland Chinese press, having only stumbled on reports of the riots while browsing international sites.
"The local papers haven't covered this. Luckily for us there is still online media," said one.
China, which has ruled Tibet since 1950, maintains that the predominantly Buddhist Himalayan region has been traditionally part of the country for centuries, a view taught exclusively at Chinese schools.
Still, while most blog postings appeared to agree with Beijing's official stance, a rare few differed.
"I'm not some big Stalinist, and I don't share the view that Tibet is part of China. Every minority has the right to choose its own path of development," said one blogger who claimed to have lived in Tibet for four years.